COMMENTARY. Promoting pulses offtake via PDS and related policies

Updated - August 13, 2018 at 10:55 PM.

By converting a necessity into a virtue, the government has decided to release the large inventory of procured pulses to different States at a discounted rate for utilisation in various welfare programs.

Necessity because the stocks continue to occupy scarce warehousing space and incur huge carrying costs.

Also, the Centre thinks, warehousing space may be needed during the upcoming kharif harvest less than six weeks away; and of course, demand for food commodities including pulses usually spikes during the festival season that runs from August to October.

While the decision to liquidate the stocks is welcome, it is a half-hearted measure that seeks to deal with disposal of accumulated stocks in a routine manner without taking into consideration the propensity (or otherwise) of States to absorb such supplies. We have seen in the past reluctance on the part of State governments to lap up food commodities offered by the Centre. So, pulses this time may be no different.

Unfortunately, the lack of ‘political will’ to include pulses under the public distribution system as the Centre’s responsibility (in addition to wheat and rice) is palpable; and in some way it is seen as abdication of a sovereign duty. In case of pulses and edible oil, why pass on the choice of items under public distribution to the States?

____________
A relaxed K3Gd3P4S16 crystal. Source: the Materials Project database, functional PBE.

Unit cell a=10.032 b=10.032 c=14.747 alpha=89.23 beta=89.23 gamma=72.01
Fractional coordinates of all 52 atoms:
K1 0.028 0.388 0.163
K2 0.612 0.972 0.337
K3 0.388 0.028 0.663
K4 0.000 0.000 0.000
K5 0.972 0.612 0.837
K6 0.000 0.000 0.500
Gd1 0.254 0.486 0.512
Gd2 0.746 0.514 0.488
Gd3 0.486 0.254 0.012
Gd4 0.249 0.751 0.250
Gd5 0.751 0.249 0.750
Gd6 0.514 0.746 0.988
P1 0.237 0.601 0.023
P2 0.763 0.399 0.977
P3 0.399 0.763 0.477
P4 0.961 0.668 0.361
P5 0.668 0.961 0.861
P6 0.601 0.237 0.523
P7 0.039 0.332 0.639
P8 0.332 0.039 0.139
S1 0.270 0.741 0.581
S2 0.322 0.053 0.000
S3 0.843 0.472 0.671
S4 0.053 0.322 0.500
S5 0.730 0.259 0.419
S6 0.144 0.039 0.195
S7 0.528 0.157 0.829
S8 0.297 0.924 0.393
S9 0.961 0.856 0.305
S10 0.157 0.528 0.329
S11 0.402 0.194 0.187
S12 0.416 0.545 0.104
S13 0.455 0.584 0.396
S14 0.856 0.961 0.805
S15 0.259 0.730 0.919
S16 0.703 0.076 0.607
S17 0.947 0.678 0.500
S18 0.678 0.947 0.000
S19 0.924 0.297 0.893
S20 0.806 0.598 0.313
S21 0.212 0.421 0.974
S22 0.579 0.788 0.526
S23 0.076 0.703 0.107
S24 0.421 0.212 0.474
S25 0.039 0.144 0.695
S26 0.598 0.806 0.813
S27 0.584 0.455 0.896
S28 0.545 0.416 0.604
S29 0.472 0.843 0.171
S30 0.741 0.270 0.081
S31 0.788 0.579 0.026
S32 0.194 0.402 0.687

Formation enthalpy at 0 K: -1.392 eV/atom

* * * * *

Density functional theory data (r2SCAN) for a relaxed CeCuSi crystal.

The total energy comes out at -17.4612 eV per atom. As for the volume: 20.46 Å³ per atom. Its symmetry is P6_3/mmc (194). As for the total moment: 1.026 μB per formula unit. The calculated formation energy is -640.8 meV per atom.

```
CeCuSi
1.0
4.173 0.000 0.000
-2.087 3.614 0.000
0.000 0.000 8.139
Ce Cu Si
2 2 2
direct
0.000 0.000 0.000
0.000 0.000 0.500
0.333 0.667 0.250
0.667 0.333 0.750
0.333 0.667 0.750
0.667 0.333 0.250
```

* * * * *

1.
## RbH2OF (GGA-PBE)

Data for crystalline RbH2OF at its relaxed geometry.

Lattice parameters (Å, degrees): 8.1868 4.2210 8.4750 90.00 90.00 90.00
Closest atoms and distances in Å follow each position.
Element x y z (fractional)
Rb: 0.2403 0.2500 0.0422  4 F 2.90-2.95, 1 O 2.91, 6 H 2.93-3.08
Rb: 0.2597 0.7500 0.5422  4 F 2.90-2.95, 1 O 2.91, 6 H 2.93-3.08
Rb: 0.7403 0.2500 0.4578  4 F 2.90-2.95, 1 O 2.91, 6 H 2.93-3.08
Rb: 0.7597 0.7500 0.9578  4 F 2.90-2.95, 1 O 2.91, 6 H 2.93-3.08
H: 0.0317 0.0611 0.7597  1 O 1.00
H: 0.0317 0.4389 0.7597  1 O 1.00
H: 0.4683 0.5611 0.2597  1 O 1.00
H: 0.4683 0.9389 0.2597  1 O 1.00
H: 0.5317 0.0611 0.7403  1 O 1.00
H: 0.5317 0.4389 0.7403  1 O 1.00
H: 0.9683 0.5611 0.2403  1 O 1.00
H: 0.9683 0.9389 0.2403  1 O 1.00
O: 0.0048 0.7500 0.3024  2 H 1.00
O: 0.4952 0.2500 0.8024  2 H 1.00
O: 0.5048 0.7500 0.1976  2 H 1.00
O: 0.9952 0.2500 0.6976  2 H 1.00
F: 0.0981 0.7500 0.8528  2 H 1.63
F: 0.4019 0.2500 0.3528  2 H 1.63
F: 0.5981 0.7500 0.6472  2 H 1.63
F: 0.9019 0.2500 0.1472  2 H 1.63

Values from the calculation:
Uncorrected energy, eV per atom: -4.62
____________

Protein-rich pulses

It is common knowledge that the country’s nutrition status is poor. Large sections of the country’s population are under-fed. Under-nutrition is pervasive and protein-deficiency stark. This has long-term adverse consequences on the economy including lower labour productivity and higher healthcare costs.

Pulses offer the most economical vegetable protein to the vulnerable sections of the population who in fact deserve to eat more protein at affordable rates; and there are political gains to be had by including pulses under PDS with elections round the corner. It is unclear what’s holding up a rational decision.

Harvest size

Although planted acreage for pulses has held up quite admirably this kharif season (124 lakh hectares) despite weak prices throughout the year, the less-than-satisfactory spatial and temporal distribution of the South-West monsoon is likely to push the harvest size well below the target of 89 lakh tonnes. The eventual harvest size could be closer to 80 lakh tonnes or even a tad lower.

Yet, given the high level of minimum support price (MSP) announced for tur/arhar and other kharif pulses, on current reckoning, market prices are unlikely to rise to MSP level in a hurry. This will force the government to continue to implement the price support operation for the third year in a row.

Has Indian pulses production broken the 220 lakh tonnes barrier decisively? On current reckoning, it looks likely. This is similar to what happened in 2010-11 when pulses output broke the previous 140-150 lakh tonnes mark and escalated to 170-180 lakh tonnes level which continued for four years.

It is likely we are now in the next higher range of 220-240 lakh tonnes production. Yet, we cannot lose sight of the risk that Indian agriculture is fragile and the country may be just one bad monsoon away from a farm disaster. So, we cannot take these production levels for granted but work to ensure sustained growth in harvest size commensurate with increase in demand.

Importantly, New Delhi has to adopt policies that promote pulses consumption. Unfortunately, again, supplies are sought to be choked while demand deserves a higher push.

The writer is a policy commentator and global agri-business specialist. Views are personal.

Published on August 13, 2018 15:41